Listing:
'''
(1)
Entry from OMol25: a cluster of 2 separate species, C2H4F2N2O2 in total at a distorted geometry (ωB97M-V/def2-TZVPD).

```
12
Properties=species:S:1:pos:R:3:forces:R:3:lowdin_charge:R:1
C -0.154 0.289 -1.429 2.94 1.55 -0.49 -0.28
C 2.225 1.543 -0.232 -1.77 0.36 0.51 -0.41
N -1.801 -0.728 -0.018 -0.24 -0.22 0.05 0.06
N -0.575 -0.028 -0.266 -1.15 -0.84 1.35 -0.02
O -0.281 0.312 -2.595 -0.86 -0.50 -0.07 0.14
O 3.449 1.043 -0.168 0.18 -0.09 -0.14 0.08
F 2.174 2.887 -0.479 0.31 -0.80 0.04 0.05
F 1.542 1.405 1.007 0.59 0.02 -0.56 -0.04
H -1.640 -1.735 -0.067 0.08 0.30 -0.15 0.09
H -2.491 -0.475 -0.722 0.24 0.05 0.14 0.09
H -0.080 0.264 0.579 -0.07 0.08 -0.64 0.12
H 4.040 1.547 0.422 -0.23 0.10 -0.05 0.13
```
Forces are in eV/Å.

For the LUMO energy (alpha / beta), the calculation gives -0.57 / 0.47 eV. The HOMO-LUMO gap (alpha / beta) is 6.88 / 9.69 eV.

(2)
Entry from OMol25: the molecule C2H4F2S at a distorted geometry (ωB97M-V/def2-TZVPD).

```
9
Properties=species:S:1:pos:R:3:forces:R:3:lowdin_charge:R:1
F 0.874 -1.558 1.087 -0.07 -1.38 1.30 0.05
C 0.463 -0.789 0.078 1.17 1.64 -0.01 -0.51
F -0.416 -1.510 -0.672 0.50 0.36 -0.11 0.05
C -0.191 0.468 0.675 2.29 -0.03 -0.05 -0.52
S -0.341 1.745 -0.573 -0.64 -0.12 -0.27 0.72
H 1.462 -0.522 -0.408 -1.77 -0.30 -0.50 0.16
H 0.560 0.847 1.423 -0.72 -0.27 -0.67 0.10
H -1.080 0.242 1.206 -0.98 -0.24 0.30 0.07
H -1.246 1.043 -1.294 0.21 0.35 0.02 -0.12
```
Forces are in eV/Å.

For the LUMO energy, the calculation gives 0.90 eV. The HOMO-LUMO gap is 10.54 eV.

(3)
Entry from OMol25: the molecule C2H4F2S2 at a distorted geometry (ωB97M-V/def2-TZVPD).

```
10
Properties=species:S:1:pos:R:3:forces:R:3:lowdin_charge:R:1
C 0.979 -0.400 -0.596 0.05 -2.76 0.56 -0.36
S -0.536 -1.556 -0.596 0.89 -0.21 -0.90 0.44
S -1.664 -0.963 0.961 0.21 -0.01 1.02 0.55
C -2.645 0.390 0.294 -1.09 -0.17 -0.09 -0.77
F -1.919 1.475 0.041 0.99 1.05 -0.17 0.01
F -3.115 -0.025 -0.906 -0.68 0.18 -0.20 -0.04
H 1.964 -0.950 -0.455 -1.50 0.45 0.59 0.06
H 0.568 0.148 0.222 1.00 1.35 0.38 -0.03
H 1.101 0.028 -1.554 -0.56 1.08 -0.79 0.01
H -3.488 0.752 0.950 0.69 -0.97 -0.39 0.14
```
Forces are in eV/Å.

For the LUMO energy, the calculation gives 0.61 eV. The HOMO-LUMO gap is 10.01 eV.

| no. | DFT total energy (eV) | molecular weight (g mol⁻¹) |
| --- | --- | --- |
| 1 | -14644.824 | 126.06 |
| 2 | -18408.883 | 98.12 |
| 3 | -29243.722 | 130.18 |
'''

Work order:
Please filter the entries above: keep the lines with the word "gap".

Solution:
For the LUMO energy (alpha / beta), the calculation gives -0.57 / 0.47 eV. The HOMO-LUMO gap (alpha / beta) is 6.88 / 9.69 eV.
For the LUMO energy, the calculation gives 0.90 eV. The HOMO-LUMO gap is 10.54 eV.
For the LUMO energy, the calculation gives 0.61 eV. The HOMO-LUMO gap is 10.01 eV.